Material >
=====
## PrGd2Mg (PBE)

Data for an optimized crystal structure of PrGd2Mg.

Properties
* energy relative to the lowest polymorph listed for this composition: 0.11 eV/f.u.
* E_tot: -8.64 eV/atom
* formation enthalpy at 0 K: -0.04 eV per formula unit

a = 5.0310 Å, b = 4.9784 Å, c = 4.9784 Å
α = 90.00°, β = 90.00°, γ = 90.00°
Closest atoms and distances in Å follow each position.
Sites, in units of the cell vectors:
Pr: 0.5000 0.5000 0.5000  4 Mg 3.52, 8 Gd 3.54
Mg: 0.5000 0.0000 0.0000  4 Pr 3.52, 8 Gd 3.54
Gd: 0.0000 0.0000 0.5000  4 Gd 3.52, 4 Pr 3.54, 4 Mg 3.54
Gd: 0.0000 0.5000 0.0000  4 Gd 3.52, 4 Pr 3.54, 4 Mg 3.54

---

## PrGdMgPt (PBE)

Data for an optimized crystal structure of PrGdMgPt.

Properties
* E_tot: -7.14 eV/atom
* formation enthalpy at 0 K: -2.07 eV per formula unit

a = 5.2110 Å, b = 5.2110 Å, c = 5.2110 Å
α = 60.00°, β = 60.00°, γ = 60.00°
Closest atoms and distances in Å follow each position.
Sites, in units of the cell vectors:
Pr: 0.0000 0.0000 0.0000  4 Pt 3.19, 4 Mg 3.19
Mg: 0.7500 0.7500 0.7500  4 Pr 3.19, 4 Gd 3.19
Gd: 0.5000 0.5000 0.5000  4 Pt 3.19, 4 Mg 3.19
Pt: 0.2500 0.2500 0.2500  4 Gd 3.19, 4 Pr 3.19

---

## PrGdMgRh (PBE)

Data for an optimized crystal structure of PrGdMgRh.

Properties
* E_tot: -7.27 eV/atom
* formation enthalpy at 0 K: -1.28 eV per formula unit

a = 5.1806 Å, b = 5.1806 Å, c = 5.1806 Å
α = 60.00°, β = 60.00°, γ = 60.00°
Closest atoms and distances in Å follow each position.
Sites, in units of the cell vectors:
Pr: 0.5000 0.5000 0.5000  4 Rh 3.17, 4 Mg 3.17
Mg: 0.7500 0.7500 0.7500  4 Gd 3.17, 4 Pr 3.17
Gd: 0.0000 0.0000 0.0000  4 Mg 3.17, 4 Rh 3.17
Rh: 0.2500 0.2500 0.2500  4 Gd 3.17, 4 Pr 3.17

---

## PrGdMgRu (PBE)

Data for an optimized crystal structure of PrGdMgRu.

Properties
* E_tot: -7.52 eV/atom
* formation enthalpy at 0 K: -0.36 eV per formula unit

a = 5.1452 Å, b = 5.1452 Å, c = 5.1452 Å
α = 60.00°, β = 60.00°, γ = 60.00°
Closest atoms and distances in Å follow each position.
Sites, in units of the cell vectors:
Pr: 0.0000 0.0000 0.0000  4 Ru 3.15, 4 Mg 3.15
Ru: 0.7500 0.7500 0.7500  4 Pr 3.15, 4 Gd 3.15
Mg: 0.2500 0.2500 0.2500  4 Gd 3.15, 4 Pr 3.15
Gd: 0.5000 0.5000 0.5000  4 Mg 3.15, 4 Ru 3.15

---

## PrGdMgSc (PBE)

Data for an optimized crystal structure of PrGdMgSc.

Properties
* E_tot: -6.68 eV/atom
* formation enthalpy at 0 K: 0.06 eV per formula unit

a = 5.4716 Å, b = 5.4716 Å, c = 5.4716 Å
α = 60.00°, β = 60.00°, γ = 60.00°
Closest atoms and distances in Å follow each position.
Sites, in units of the cell vectors:
Pr: 0.2500 0.2500 0.2500  4 Mg 3.35, 4 Sc 3.35
Sc: 0.0000 0.0000 0.0000  4 Pr 3.35, 4 Gd 3.35
Mg: 0.5000 0.5000 0.5000  4 Gd 3.35, 4 Pr 3.35
Gd: 0.7500 0.7500 0.7500  4 Mg 3.35, 4 Sc 3.35

---

## PrGdMgSi (PBE)

Data for an optimized crystal structure of PrGdMgSi.

Properties
* ΔE_f (raw): -6.55 kcal/mol of atoms
* E_tot: -6.75 eV/atom

a = 5.2099 Å, b = 5.2099 Å, c = 5.2099 Å
α = 60.00°, β = 60.00°, γ = 60.00°
Closest atoms and distances in Å follow each position.
Sites, in units of the cell vectors:
Pr: 0.0000 0.0000 0.0000  4 Mg 3.19, 4 Si 3.19
Si: 0.2500 0.2500 0.2500  4 Pr 3.19, 4 Gd 3.19
Gd: 0.5000 0.5000 0.5000  4 Mg 3.19, 4 Si 3.19
Mg: 0.7500 0.7500 0.7500  4 Gd 3.19, 4 Pr 3.19

---

## TbPrGdMg (PBE)

Data for an optimized crystal structure of TbPrGdMg.

Properties
* E_tot: -6.24 eV/atom
* formation enthalpy at 0 K: 0.13 eV per formula unit

a = 5.5969 Å, b = 5.5969 Å, c = 5.5969 Å
α = 60.00°, β = 60.00°, γ = 60.00°
Closest atoms and distances in Å follow each position.
Sites, in units of the cell vectors:
Pr: 0.7500 0.7500 0.7500  4 Mg 3.43, 4 Tb 3.43
Mg: 0.0000 0.0000 0.0000  4 Gd 3.43, 4 Pr 3.43
Gd: 0.2500 0.2500 0.2500  4 Tb 3.43, 4 Mg 3.43
Tb: 0.5000 0.5000 0.5000  4 Pr 3.43, 4 Gd 3.43

---

## PrGdMgTc (PBE)

Data for an optimized crystal structure of PrGdMgTc.

Properties
* E_tot: -7.63 eV/atom
* formation enthalpy at 0 K: 0.32 eV per formula unit

a = 5.1491 Å, b = 5.1491 Å, c = 5.1491 Å
α = 60.00°, β = 60.00°, γ = 60.00°
=====

Exercise >
Please set down the whole of the notes further up character by character.

Worked solution >
## PrGd2Mg (PBE)

Data for an optimized crystal structure of PrGd2Mg.

Properties
* energy relative to the lowest polymorph listed for this composition: 0.11 eV/f.u.
* E_tot: -8.64 eV/atom
* formation enthalpy at 0 K: -0.04 eV per formula unit

a = 5.0310 Å, b = 4.9784 Å, c = 4.9784 Å
α = 90.00°, β = 90.00°, γ = 90.00°
Closest atoms and distances in Å follow each position.
Sites, in units of the cell vectors:
Pr: 0.5000 0.5000 0.5000  4 Mg 3.52, 8 Gd 3.54
Mg: 0.5000 0.0000 0.0000  4 Pr 3.52, 8 Gd 3.54
Gd: 0.0000 0.0000 0.5000  4 Gd 3.52, 4 Pr 3.54, 4 Mg 3.54
Gd: 0.0000 0.5000 0.0000  4 Gd 3.52, 4 Pr 3.54, 4 Mg 3.54

---

## PrGdMgPt (PBE)

Data for an optimized crystal structure of PrGdMgPt.

Properties
* E_tot: -7.14 eV/atom
* formation enthalpy at 0 K: -2.07 eV per formula unit

a = 5.2110 Å, b = 5.2110 Å, c = 5.2110 Å
α = 60.00°, β = 60.00°, γ = 60.00°
Closest atoms and distances in Å follow each position.
Sites, in units of the cell vectors:
Pr: 0.0000 0.0000 0.0000  4 Pt 3.19, 4 Mg 3.19
Mg: 0.7500 0.7500 0.7500  4 Pr 3.19, 4 Gd 3.19
Gd: 0.5000 0.5000 0.5000  4 Pt 3.19, 4 Mg 3.19
Pt: 0.2500 0.2500 0.2500  4 Gd 3.19, 4 Pr 3.19

---

## PrGdMgRh (PBE)

Data for an optimized crystal structure of PrGdMgRh.

Properties
* E_tot: -7.27 eV/atom
* formation enthalpy at 0 K: -1.28 eV per formula unit

a = 5.1806 Å, b = 5.1806 Å, c = 5.1806 Å
α = 60.00°, β = 60.00°, γ = 60.00°
Closest atoms and distances in Å follow each position.
Sites, in units of the cell vectors:
Pr: 0.5000 0.5000 0.5000  4 Rh 3.17, 4 Mg 3.17
Mg: 0.7500 0.7500 0.7500  4 Gd 3.17, 4 Pr 3.17
Gd: 0.0000 0.0000 0.0000  4 Mg 3.17, 4 Rh 3.17
Rh: 0.2500 0.2500 0.2500  4 Gd 3.17, 4 Pr 3.17

---

## PrGdMgRu (PBE)

Data for an optimized crystal structure of PrGdMgRu.

Properties
* E_tot: -7.52 eV/atom
* formation enthalpy at 0 K: -0.36 eV per formula unit

a = 5.1452 Å, b = 5.1452 Å, c = 5.1452 Å
α = 60.00°, β = 60.00°, γ = 60.00°
Closest atoms and distances in Å follow each position.
Sites, in units of the cell vectors:
Pr: 0.0000 0.0000 0.0000  4 Ru 3.15, 4 Mg 3.15
Ru: 0.7500 0.7500 0.7500  4 Pr 3.15, 4 Gd 3.15
Mg: 0.2500 0.2500 0.2500  4 Gd 3.15, 4 Pr 3.15
Gd: 0.5000 0.5000 0.5000  4 Mg 3.15, 4 Ru 3.15

---

## PrGdMgSc (PBE)

Data for an optimized crystal structure of PrGdMgSc.

Properties
* E_tot: -6.68 eV/atom
* formation enthalpy at 0 K: 0.06 eV per formula unit

a = 5.4716 Å, b = 5.4716 Å, c = 5.4716 Å
α = 60.00°, β = 60.00°, γ = 60.00°
Closest atoms and distances in Å follow each position.
Sites, in units of the cell vectors:
Pr: 0.2500 0.2500 0.2500  4 Mg 3.35, 4 Sc 3.35
Sc: 0.0000 0.0000 0.0000  4 Pr 3.35, 4 Gd 3.35
Mg: 0.5000 0.5000 0.5000  4 Gd 3.35, 4 Pr 3.35
Gd: 0.7500 0.7500 0.7500  4 Mg 3.35, 4 Sc 3.35

---

## PrGdMgSi (PBE)

Data for an optimized crystal structure of PrGdMgSi.

Properties
* ΔE_f (raw): -6.55 kcal/mol of atoms
* E_tot: -6.75 eV/atom

a = 5.2099 Å, b = 5.2099 Å, c = 5.2099 Å
α = 60.00°, β = 60.00°, γ = 60.00°
Closest atoms and distances in Å follow each position.
Sites, in units of the cell vectors:
Pr: 0.0000 0.0000 0.0000  4 Mg 3.19, 4 Si 3.19
Si: 0.2500 0.2500 0.2500  4 Pr 3.19, 4 Gd 3.19
Gd: 0.5000 0.5000 0.5000  4 Mg 3.19, 4 Si 3.19
Mg: 0.7500 0.7500 0.7500  4 Gd 3.19, 4 Pr 3.19

---

## TbPrGdMg (PBE)

Data for an optimized crystal structure of TbPrGdMg.

Properties
* E_tot: -6.24 eV/atom
* formation enthalpy at 0 K: 0.13 eV per formula unit

a = 5.5969 Å, b = 5.5969 Å, c = 5.5969 Å
α = 60.00°, β = 60.00°, γ = 60.00°
Closest atoms and distances in Å follow each position.
Sites, in units of the cell vectors:
Pr: 0.7500 0.7500 0.7500  4 Mg 3.43, 4 Tb 3.43
Mg: 0.0000 0.0000 0.0000  4 Gd 3.43, 4 Pr 3.43
Gd: 0.2500 0.2500 0.2500  4 Tb 3.43, 4 Mg 3.43
Tb: 0.5000 0.5000 0.5000  4 Pr 3.43, 4 Gd 3.43

---

## PrGdMgTc (PBE)

Data for an optimized crystal structure of PrGdMgTc.

Properties
* E_tot: -7.63 eV/atom
* formation enthalpy at 0 K: 0.32 eV per formula unit

a = 5.1491 Å, b = 5.1491 Å, c = 5.1491 Å
α = 60.00°, β = 60.00°, γ = 60.00°